**File**
- - -
Record 1
CuAgSbTe3: optimized geometry, PBE-GGA.

```
CuAgSbTe3
1.0
4.363 0.000 0.000
0.000 8.484 0.685
0.000 -1.504 8.853
Ag Cu Te Sb
2 2 6 2
Direct
0.250 0.646 0.164
0.750 0.354 0.836
0.750 0.925 0.507
0.250 0.075 0.493
0.750 0.242 0.525
0.250 0.758 0.475
0.250 0.115 0.853
0.750 0.885 0.147
0.250 0.603 0.847
0.750 0.397 0.153
0.750 0.854 0.820
0.250 0.146 0.180
```

Summary:
DOS at the Fermi energy: 0.4732 states/eV/atom
SG: P2_1/m, No. 11
Raw formation energy: -0.05 eV/atom
Total moment: 0.00 μB/atom
Uncorrected energy: -3.4611 eV per atom



Record 2
Rb3MnCr2Cl9: optimized geometry, PBE-GGA.

```
Rb3MnCr2Cl9
1.0
-0.241 6.081 3.702
0.362 -6.239 3.419
8.707 0.429 -0.138
Cr Cl Rb Mn
2 9 3 1
Direct
0.333 0.667 0.163
0.667 0.333 0.837
0.334 0.167 0.668
0.833 0.167 0.668
0.500 0.500 0.000
0.833 0.666 0.668
0.666 0.833 0.332
0.000 0.500 0.000
0.500 0.000 0.000
0.167 0.334 0.332
0.167 0.833 0.332
0.333 0.667 0.666
0.667 0.333 0.334
0.000 0.000 0.000
0.000 0.000 0.500
```

Summary:
DOS at the Fermi energy: 0.1750 states/eV/atom
SG: P-3m1, No. 164
Raw formation energy: -1.40 eV/atom
Total moment: 0.87 μB/atom
Uncorrected energy: -4.5985 eV per atom



Record 3
Ho2Pd5Au5: optimized geometry, PBE-GGA.

```
Ho2Pd5Au5
1.0
-3.132 2.535 2.296
1.176 -0.644 6.998
4.747 5.717 4.846
Ho Au Pd
2 5 5
Direct
0.143 0.491 0.223
0.857 0.509 0.777
0.500 0.500 0.500
0.383 0.219 0.015
0.694 0.031 0.582
0.306 0.969 0.418
0.617 0.781 0.985
0.219 0.753 0.810
0.781 0.247 0.190
0.925 0.761 0.388
0.000 0.000 0.000
0.075 0.239 0.612
```

Summary:
Relative energy among the computed polymorphs: 89 meV per atom
DOS at the Fermi energy: 0.3039 states/eV/atom
ΔE_f: -0.512 eV/atom
SG: C2/m, No. 12
Total moment: 0.00 μB/atom
Uncorrected energy: -4.8037 eV per atom



Record 4
HPt5: optimized geometry, PBE-GGA.

```
HPt5
1.0
3.899 0.000 0.000
0.000 3.896 0.000
0.000 -1.948 5.699
Pt H
5 1
Direct
0.000 0.343 0.686
0.500 0.162 0.324
0.500 0.500 0.000
0.000 0.657 0.314
0.500 0.838 0.676
0.000 0.000 0.000
```

Summary:
Relative energy among the computed polymorphs: 215 meV per atom
DOS at the Fermi energy: 0.7975 states/eV/atom
SG: Cmmm, No. 65
Total moment: 0.00 μB/atom
Uncorrected energy: -5.2646 eV per atom



Record 5
CaCeHo4S8: optimized geometry, PBE-GGA.

```
CaCeHo4S8
1.0
8.074 0.000 0.000
4.037 6.992 0.000
4.037 2.331 6.698
S Ho Ce Ca
8 4 1 1
Direct
0.239 0.239 0.282
0.781 0.245 0.729
0.245 0.781 0.729
0.230 0.751 0.268
0.751 0.751 0.268
0.758 0.758 0.727
0.245 0.245 0.729
0.751 0.230 0.268
0.002 0.002 0.501
0.002 0.495 0.501
0.495 0.002 0.501
0.625 0.625 0.124
0.001 0.001 0.997
0.375 0.375 0.876
```

Summary:
DOS at the Fermi energy: 0.7079 states/eV/atom
SG: R3m, No. 160
Raw formation energy: -1.97 eV/atom
Total moment: 0.10 μB/atom
Uncorrected energy: -6.2055 eV per atom



Record 6
Ti8TcSb2: optimized geometry, PBE-GGA.

```
Ti8TcSb2
1.0
4.646 0.000 0.000
0.000 6.230 -0.188
-2.323 -2.910 6.863
Ti Sb Tc
8 2 1
Direct
0.359 0.112 0.719
0.000 0.755 0.000
0.828 0.828 0.656
0.641 0.394 0.281
0.000 0.245 0.000
0.172 0.172 0.344
0.359 0.606 0.719
0.641 0.888 0.281
0.818 0.318 0.636
0.182 0.682 0.364
0.500 0.000 0.000
```

Summary:
DOS at the Fermi energy: 0.8946 states/eV/atom
SG: Immm, No. 71
Raw formation energy: -0.31 eV/atom
Total moment: 0.00 μB/atom
Uncorrected energy: -7.7444 eV per atom



- Among the records above, which one has the lowest uncorrected energy?
  Ti8TcSb2

----------

Entry from OQMD: an optimized crystal structure of PmCuB4 (GGA-PBE).

## Properties
As for the symmetry: Immm, No. 71. The polymorph energy (0 for the lowest one) comes out at 0.32 eV/f.u. As for the calculated density: 6.2 g/cm³. Its crystal system is orthorhombic. The calculation puts the total energy at -34.936 eV per cell.

Cell and atoms, written as POSCAR:
```
PmCuB4
1.0
-2.939 -3.938 -1.296
-1.540 -2.008 4.407
-0.266 4.134 -2.944
B Cu Pm
4 1 1
Direct
0.564 0.242 0.321
0.079 0.758 0.321
0.921 0.242 0.679
0.436 0.758 0.679
0.000 0.000 0.000
0.500 0.500 0.000
```
- - -

**To do**
It remains to echo the lines further above exactly.

**Completed**
Record 1
CuAgSbTe3: optimized geometry, PBE-GGA.

```
CuAgSbTe3
1.0
4.363 0.000 0.000
0.000 8.484 0.685
0.000 -1.504 8.853
Ag Cu Te Sb
2 2 6 2
Direct
0.250 0.646 0.164
0.750 0.354 0.836
0.750 0.925 0.507
0.250 0.075 0.493
0.750 0.242 0.525
0.250 0.758 0.475
0.250 0.115 0.853
0.750 0.885 0.147
0.250 0.603 0.847
0.750 0.397 0.153
0.750 0.854 0.820
0.250 0.146 0.180
```

Summary:
DOS at the Fermi energy: 0.4732 states/eV/atom
SG: P2_1/m, No. 11
Raw formation energy: -0.05 eV/atom
Total moment: 0.00 μB/atom
Uncorrected energy: -3.4611 eV per atom



Record 2
Rb3MnCr2Cl9: optimized geometry, PBE-GGA.

```
Rb3MnCr2Cl9
1.0
-0.241 6.081 3.702
0.362 -6.239 3.419
8.707 0.429 -0.138
Cr Cl Rb Mn
2 9 3 1
Direct
0.333 0.667 0.163
0.667 0.333 0.837
0.334 0.167 0.668
0.833 0.167 0.668
0.500 0.500 0.000
0.833 0.666 0.668
0.666 0.833 0.332
0.000 0.500 0.000
0.500 0.000 0.000
0.167 0.334 0.332
0.167 0.833 0.332
0.333 0.667 0.666
0.667 0.333 0.334
0.000 0.000 0.000
0.000 0.000 0.500
```

Summary:
DOS at the Fermi energy: 0.1750 states/eV/atom
SG: P-3m1, No. 164
Raw formation energy: -1.40 eV/atom
Total moment: 0.87 μB/atom
Uncorrected energy: -4.5985 eV per atom



Record 3
Ho2Pd5Au5: optimized geometry, PBE-GGA.

```
Ho2Pd5Au5
1.0
-3.132 2.535 2.296
1.176 -0.644 6.998
4.747 5.717 4.846
Ho Au Pd
2 5 5
Direct
0.143 0.491 0.223
0.857 0.509 0.777
0.500 0.500 0.500
0.383 0.219 0.015
0.694 0.031 0.582
0.306 0.969 0.418
0.617 0.781 0.985
0.219 0.753 0.810
0.781 0.247 0.190
0.925 0.761 0.388
0.000 0.000 0.000
0.075 0.239 0.612
```

Summary:
Relative energy among the computed polymorphs: 89 meV per atom
DOS at the Fermi energy: 0.3039 states/eV/atom
ΔE_f: -0.512 eV/atom
SG: C2/m, No. 12
Total moment: 0.00 μB/atom
Uncorrected energy: -4.8037 eV per atom



Record 4
HPt5: optimized geometry, PBE-GGA.

```
HPt5
1.0
3.899 0.000 0.000
0.000 3.896 0.000
0.000 -1.948 5.699
Pt H
5 1
Direct
0.000 0.343 0.686
0.500 0.162 0.324
0.500 0.500 0.000
0.000 0.657 0.314
0.500 0.838 0.676
0.000 0.000 0.000
```

Summary:
Relative energy among the computed polymorphs: 215 meV per atom
DOS at the Fermi energy: 0.7975 states/eV/atom
SG: Cmmm, No. 65
Total moment: 0.00 μB/atom
Uncorrected energy: -5.2646 eV per atom



Record 5
CaCeHo4S8: optimized geometry, PBE-GGA.

```
CaCeHo4S8
1.0
8.074 0.000 0.000
4.037 6.992 0.000
4.037 2.331 6.698
S Ho Ce Ca
8 4 1 1
Direct
0.239 0.239 0.282
0.781 0.245 0.729
0.245 0.781 0.729
0.230 0.751 0.268
0.751 0.751 0.268
0.758 0.758 0.727
0.245 0.245 0.729
0.751 0.230 0.268
0.002 0.002 0.501
0.002 0.495 0.501
0.495 0.002 0.501
0.625 0.625 0.124
0.001 0.001 0.997
0.375 0.375 0.876
```

Summary:
DOS at the Fermi energy: 0.7079 states/eV/atom
SG: R3m, No. 160
Raw formation energy: -1.97 eV/atom
Total moment: 0.10 μB/atom
Uncorrected energy: -6.2055 eV per atom



Record 6
Ti8TcSb2: optimized geometry, PBE-GGA.

```
Ti8TcSb2
1.0
4.646 0.000 0.000
0.000 6.230 -0.188
-2.323 -2.910 6.863
Ti Sb Tc
8 2 1
Direct
0.359 0.112 0.719
0.000 0.755 0.000
0.828 0.828 0.656
0.641 0.394 0.281
0.000 0.245 0.000
0.172 0.172 0.344
0.359 0.606 0.719
0.641 0.888 0.281
0.818 0.318 0.636
0.182 0.682 0.364
0.500 0.000 0.000
```

Summary:
DOS at the Fermi energy: 0.8946 states/eV/atom
SG: Immm, No. 71
Raw formation energy: -0.31 eV/atom
Total moment: 0.00 μB/atom
Uncorrected energy: -7.7444 eV per atom



- Among the records above, which one has the lowest uncorrected energy?
  Ti8TcSb2

----------

Entry from OQMD: an optimized crystal structure of PmCuB4 (GGA-PBE).

## Properties
As for the symmetry: Immm, No. 71. The polymorph energy (0 for the lowest one) comes out at 0.32 eV/f.u. As for the calculated density: 6.2 g/cm³. Its crystal system is orthorhombic. The calculation puts the total energy at -34.936 eV per cell.

Cell and atoms, written as POSCAR:
```
PmCuB4
1.0
-2.939 -3.938 -1.296
-1.540 -2.008 4.407
-0.266 4.134 -2.944
B Cu Pm
4 1 1
Direct
0.564 0.242 0.321
0.079 0.758 0.321
0.921 0.242 0.679
0.436 0.758 0.679
0.000 0.000 0.000
0.500 0.500 0.000
```